Monday, December 8, 2008

Copying Virtual Box snapshots

I've really become comfortable nesting all of my Windows installs inside of Virtual Box lately (my main systems run both RedHat and Ubuntu Linux). Just being able to shuttle that image around to wherever I happen to be working is one big help. And the value of working with VMs was just reinforced this week when I learned that my recently installed XP Service Pack 3 introduced an incompatibility with the version of Microsoft SQL Server 2005: Express I needed to install to extract some client data. I just rolled back to the snapshot I took just before I installed that service pack (I am that paranoid), and then it installed fine. While I've been known to do a backup before such an operation even on a real hard disk, that's painful; VM snapshots are so trivial I can take them far more often.

This left me with a dilemma though: my XP install now has this bloated SQL Server mess installed on it that I can't delete until that project is done, but I need to do some real work that I want to keep beyond when I blow that image away. The snapshot tool in the VirtualBox GUI is pretty coarse: the only thing it will do is destructively revert a snapshot. What I want to do is fork the previous snapshot into another machine.

I found some clues for image import/export; it seemed easy. As usual, it wasn't at all.

Background: each disk image in VirtualBox gets a unique UUID. This is why you can't just copy the underlying disk image files to somewhere else--the UUID will still be the same when you import it and it won't work. The export tool "clonevdi" takes care of that for you, but you'll need all the relevant UUIDs for that to do anything useful. I'll show how you can get this info below; when I worked through it the first time I got an unpleasant surprise once I tried using the clone utility I want to talk about first:

$ VBoxManage clonevdi b534a21d-a24a-44b2-35ae-66502938a0b9 image.vdi
VirtualBox Command Line Management Interface Version 1.6.4
(C) 2005-2008 Sun Microsystems, Inc.
All rights reserved.

[!] FAILED calling hardDisk->CloneToImage(Bstr(argv[1]), vdiOut.asOutParam(), progress.asOutParam()) at line 3314!
[!] Primary RC = NS_ERROR_FAILURE (0x80004005) - Operation failed
[!] Full error info present: true , basic error info present: true
[!] Result Code = NS_ERROR_FAILURE (0x80004005) - Operation failed
[!] Text = Cloning differencing VDI images is not yet supported ('/d2/virtualbox/Machines/XP Pro/Snapshots/{b534a21d-a24a-44b2-35ae-66502938a0b9}.vdi')
[!] Component = HardDisk, Interface: IHardDisk, {fd443ec1-000f-4f5b-9282-d72760a66916}
[!] Callee = IHardDisk, {fd443ec1-000f-4f5b-9282-d72760a66916}

How fun is that? Differencing image, no copies for you!

After some poking around with the forum uber-thread covering copies, it sounded to me like anybody who makes any sort of snapshot is just screwed here. If it's not a plain old disk image, too bad.

As it would take far too long to recreate what's in this VM, I was plenty motivated to find a workaround. Here's how I eventually managed to extract those images:

  • With Virtual Box not running, backup the entire .VirtualBox directory.
  • Start the main image tool and navigate to the snapshot list for the relevant image.
  • If the one you want is in the history, rather than the current one you want, start at the bottom and blow away any change sets below that one; right-click on them and choose "Revert to current snapshot" if you just want to get rid of changes since then, or "Discard current snapshot and state" if the one you want is actually below either of them.
  • Once you've gotten to where the image you want is current, select each of the snapshots above it and right-click for "Discard snapshot" to merge their differences into the image below. You'll see the encouraging "Preserving changes to normal hard disk" message here.
  • Only the one image you want left? It's description should read like this: "IDE Primary Master: [Normal, 10.00GB]" Now you're set to use the command line tools! Exit the GUI, create the image as shown below, save that file somewhere else (it's created in the same VDI directory all the other images live in), then you can restore your original config to get everything back.

Here's how the command-line tools worked once I'd done the above to slim down to only the one image I wanted as available. First I take a look at all the UUIDs available:

$ VBoxManage list vms | grep UUID
UUID: aeb41dd3-d9f5-44fb-b1a2-a32e84f79e64
Primary master: /d2/virtualbox/VDI/XP Pro.vdi (UUID: 328bcae8-ddf8-4121-139c-f7d0566526f4)

That first UUID is for the whole VM (including the associated config files), that we can ignore. What I want to do then is copy the current running copy, the one labeled "Primary master", to a new image file. First I confirm I can access the right one via the command line tools:

[Here the text breaks off for records of crystals]
┌──
Theoretical X-ray diffraction stick pattern
Compound: HoCd7Ag5
Radiation: Cu Kα, 1.54184 Å
Structure: a structure optimized by DFT (GGA-PBE)
Kinematic intensities with the Lorentz-polarization factor, no thermal factor.

Largest 10 diffraction maxima, low angle first, 2θ = 10–90°:
Position (°2θ)	I/Imax
31.38	42
36.28	82
36.47	17
36.70	100
36.90	22
37.24	18
40.80	28
40.90	36
41.60	34
65.53	26

Atomic structure:
a b c (Å): 7.4749 7.4749 5.6238
angles (deg): 111.14 111.14 83.08
Sites, in units of the cell vectors:
Ho: 0.0000 0.0000 0.0000
Cd: 0.1908 0.7897 0.4923
Cd: 0.3291 0.6409 0.9873
Cd: 0.3387 0.3387 0.3329
Cd: 0.6409 0.3291 0.9873
Cd: 0.6506 0.6506 0.6618
Cd: 0.7727 0.7727 0.2757
Cd: 0.7897 0.1908 0.4923
Ag: 0.2056 0.2056 0.7077
Ag: 0.4854 0.9891 0.9921
Ag: 0.4872 0.9897 0.4909
Ag: 0.9891 0.4854 0.9921
Ag: 0.9897 0.4872 0.4909

* * * * *

(1)
The following is a simulated powder diffractogram of Tb4YSb5. It was derived from a crystal structure in Alexandria, relaxed with PBE, using Cu Kα.
Intensities are scaled so that the largest is 100.

Crystal structure
```
data_Tb4YSb5
_chemical_formula_sum 'Tb8 Y2 Sb10'
_space_group_name_H-M_alt 'I m m m'
_space_group_IT_number 71
_space_group_name_Hall '-I 2 2'
_cell_length_a 4.402
_cell_length_b 6.220
_cell_length_c 21.995
_cell_angle_alpha 90.00
_cell_angle_beta 90.00
_cell_angle_gamma 90.00
loop_
_atom_site_label
_atom_site_fract_x
_atom_site_fract_y
_atom_site_fract_z
_atom_site_occupancy
Tb1 0.000 0.000 0.100 1
Tb2 0.000 0.000 0.300 1
Y1 0.000 0.000 0.500 1
Sb1 0.000 0.500 0.100 1
Sb2 0.000 0.500 0.300 1
Sb3 0.000 0.500 0.500 1
```

Most intense lines, 2θ = 5–70°, in order of rising 2θ:
d/Å, 2θ/deg, Rel. int., h k l
10.998, 8.04, 1, 0 0 2
5.985, 14.80, 1, 0 1 1
3.592, 24.78, 1, 1 1 0
3.111, 28.70, 100, 1 0 5
2.200, 41.03, 76, 2 0 0
1.876, 48.53, 1, 2 1 5
1.796, 50.83, 27, 2 2 0
1.556, 59.42, 13, 2 0 10
1.391, 67.30, 35, 3 0 5

=====

(2)
The following is a simulated powder diffractogram of Pm3AgPd. It was derived from a crystal structure in Alexandria, relaxed with PBE, using Cu Kα.
Intensities are scaled so that the largest is 100.

Crystal structure
```
data_Pm3AgPd
_chemical_formula_sum 'Pm12 Ag4 Pd4'
_space_group_name_H-M_alt 'P 1 21/c 1'
_space_group_IT_number 14
_space_group_name_Hall '-P 2ybc'
_cell_length_a 9.207
_cell_length_b 7.690
_cell_length_c 8.394
_cell_angle_alpha 90.00
_cell_angle_beta 107.17
_cell_angle_gamma 90.00
loop_
_atom_site_label
_atom_site_fract_x
_atom_site_fract_y
_atom_site_fract_z
_atom_site_occupancy
Pm1 0.072 0.005 0.216 1
Pm2 0.305 0.151 0.620 1
Pm3 0.358 0.676 0.492 1
Ag1 0.063 0.673 0.035 1
Pd1 0.413 0.039 0.322 1
```

Most intense lines, 2θ = 5–70°, in order of rising 2θ:
d/Å, 2θ/deg, Rel. int., h k l
3.376, 26.40, 26, 1 2 -1
3.206, 27.83, 29, 2 1 -2
3.032, 29.46, 27, 1 1 2
2.932, 30.49, 32, 3 0 0
2.844, 31.46, 30, 3 1 -1
2.775, 32.26, 57, 0 2 2
2.628, 34.12, 100, 1 1 -3
2.568, 34.94, 57, 2 2 1
2.409, 37.33, 58, 1 3 -1
2.398, 37.51, 28, 3 1 1

=====

(3)
└──
[Back to the text]

$ VBoxManage showvdiinfo 328bcae8-ddf8-4121-139c-f7d0566526f4

== What comes next are calculated crystals, not part of the page ==
Record 1
Structure and computed XRD peak list of La3Dy13 (a GGA-PBE-relaxed structure; Cu Kα (λ = 1.5418 Å)).
Neutral-atom scattering factors, no anomalous dispersion.

Cell and atoms:
abc: 7.301 8.517 8.517
angles: 84.40 90.00 90.00
Atoms (fractional coordinates):
La: 0.000 0.000 0.000
La: 0.253 0.747 0.747
La: 0.747 0.747 0.747
Dy: 0.000 0.414 0.918
Dy: 0.000 0.496 0.496
Dy: 0.000 0.918 0.414
Dy: 0.250 0.251 0.251
Dy: 0.251 0.170 0.662
Dy: 0.251 0.662 0.170
Dy: 0.500 0.001 0.001
Dy: 0.500 0.410 0.921
Dy: 0.500 0.496 0.496
Dy: 0.500 0.921 0.410
Dy: 0.749 0.170 0.662
Dy: 0.749 0.662 0.170
Dy: 0.750 0.251 0.251

Peak list (10 most intense, 2θ = 15–90°, sorted by position)
| 2theta | I (rel.) |
| --- | --- |
| 28.26 | 24 |
| 31.27 | 24 |
| 32.38 | 100 |
| 42.65 | 16 |
| 50.02 | 20 |
| 56.36 | 21 |
| 60.18 | 23 |
| 60.83 | 11 |
| 82.61 | 9 |
| 86.48 | 8 |

Record 2
Structure and computed XRD peak list of PrMgCuN2 (a GGA-PBE-relaxed structure; Cu Kα (λ = 1.5418 Å)).
Neutral-atom scattering factors, no anomalous dispersion.

Cell and atoms:
abc: 5.761 4.135 6.190
angles: 90.00 101.75 90.00
Atoms (fractional coordinates):
Pr: 0.000 0.242 0.250
Pr: 0.000 0.758 0.750
Mg: 0.500 0.478 0.750
Mg: 0.500 0.522 0.250
Cu: 0.500 0.000 0.000
Cu: 0.500 0.000 0.500
N: 0.250 0.305 0.958
N: 0.250 0.695 0.458
N: 0.750 0.305 0.542
N: 0.750 0.695 0.042

Peak list (10 most intense, 2θ = 15–90°, sorted by position)
| 2theta | I (rel.) |
| --- | --- |
| 26.09 | 100 |
| 28.97 | 63 |
| 30.51 | 78 |
| 31.73 | 77 |
| 32.16 | 99 |
| 36.40 | 36 |
| 39.00 | 57 |
| 43.92 | 30 |
| 46.80 | 66 |
| 67.30 | 38 |

Record 3
Structure and computed XRD peak list of Nd3TlRu (a GGA-PBE-relaxed structure; Cu Kα (λ = 1.5418 Å)).
Neutral-atom scattering factors, no anomalous dispersion.

Cell and atoms:
abc: 9.667 8.912 6.088
angles: 77.74 64.28 37.98
Atoms (fractional coordinates):
Nd: 0.195 0.581 0.419
Nd: 0.200 0.200 0.800
Nd: 0.419 0.805 0.195
Nd: 0.581 0.195 0.805
Nd: 0.800 0.800 0.200
Nd: 0.805 0.419 0.581
Tl: 0.213 0.787 0.787
Tl: 0.787 0.213 0.213
Ru: 0.250 0.250 0.250
Ru: 0.750 0.750 0.750

Peak list (10 most intense, 2θ = 15–90°, sorted by position)
| 2theta | I (rel.) |
| --- | --- |
| 27.94 | 51 |
| 30.10 | 58 |
| 31.44 | 52 |
| 33.61 | 100 |
| 33.89 | 21 |
| 34.23 | 66 |
| 35.53 | 27 |
| 37.26 | 41 |
| 51.41 | 23 |
| 54.97 | 27 |

Record 4
Structure and computed XRD peak list of HfNbN3 (a GGA-PBE-relaxed structure; Cu Kα (λ = 1.5418 Å)).
Neutral-atom scattering factors, no anomalous dispersion.

Cell and atoms:
abc: 6.293 6.293 6.779
angles: 106.24 106.24 29.49
Atoms (fractional coordinates):
Hf: 0.148 0.148 0.325
Hf: 0.852 0.852 0.675
Nb: 0.363 0.363 0.176
Nb: 0.637 0.637 0.824
N: 0.038 0.038 0.803
N: 0.290 0.290 0.860
N: 0.341 0.341 0.470
N: 0.659 0.659 0.530
N: 0.710 0.710 0.140
N: 0.962 0.962 0.197

Peak list (10 most intense, 2θ = 15–90°, sorted by position)
| 2theta | I (rel.) |
| --- | --- |
| 27.32 | 45 |
| 27.49 | 35 |
| 30.69 | 55 |
| 33.06 | 100 |
| 34.94 | 30 |

That shows what I expected, so now I can carefully edit that working line via the old up arrow, changing that to the copy command instead. This time it works:

$ VBoxManage clonevdi 328bcae8-ddf8-4121-139c-f7d0566526f4 imagename.vdi

Now, how to actually use one of these images? You need a configuration XML file in the "Machines" directory that matches the one associated with this image copy. Make sure to save that matching file from the VDI/[Machine]/[Machine].xml directory before you do anything drastic (like restore the original configuration with all the snapshots); we'll need it later.

Once I made all the VDI images and had their matching config files, I put back the original .VirtualBox directory, then copied the new images into its VDI directory. Setting up a new VM to use those copies went like this:

_Unrelated to this article: crystal structures_
# ZnGa2S4
Theoretical powder diffractogram, λ = 1.5418 Å (Cu Kα). Input: a structure optimized by DFT (GGA-PBE).

Cell and atoms:
```
data_ZnGa2S4
_chemical_formula_sum 'Zn1 Ga2 S4'
_space_group_name_H-M_alt 'P -4 2 m'
_space_group_IT_number 111
_space_group_name_Hall 'P -4 2'
_cell_length_a 5.243
_cell_length_b 5.243
_cell_length_c 5.456
_cell_angle_alpha 90.00
_cell_angle_beta 90.00
_cell_angle_gamma 90.00
loop_
_atom_site_label
_atom_site_type_symbol
_atom_site_fract_x
_atom_site_fract_y
_atom_site_fract_z
Zn1 Zn 0.000 0.000 0.000
Ga1 Ga 0.000 0.500 0.500
S1 S 0.262 0.262 0.245
```

The 12 most intense peaks (10° ≤ 2θ ≤ 90°), most intense first:
h k l  2θ/deg  I (rel.)
1 1 1  29.1  100
2 0 2  48.1  43
3 1 1  58.2  25
2 2 0  49.2  20
1 1 3  56.4  14
1 0 1  23.5  13
3 1 3  78.0  10
1 0 0  16.9  10
0 0 1  16.2  8
2 2 4  89.1  7
1 1 0  24.0  7
2 1 1  41.9  6



# Y2Zr2O7
Theoretical powder diffractogram, λ = 1.5418 Å (Cu Kα). Input: a structure optimized by DFT (GGA-PBE).

Cell and atoms:
a b c (Å): 10.608 10.608 10.608
angles (deg): 90.00 90.00 90.00
Space group Fd-3m (No. 227, origin choice 2)
Symmetry-distinct sites (fractional):
Y  0.000  0.000  0.000 x16
Zr  0.000  0.000  0.500 x16
O  0.091  0.375  0.875 x48
O  0.125  0.125  0.125 x8

The 12 most intense peaks (10° ≤ 2θ ≤ 90°), most intense first:
h k l  2θ/deg  I (rel.)
2 2 2  29.2  100
4 4 0  48.5  53
6 2 2  57.6  42
4 0 0  33.8  25
6 6 2  78.6  16
8 4 0  81.1  11
4 4 4  60.5  8
8 0 0  71.1  7
3 3 1  36.9  1
3 1 1  27.9  1
3 3 3  44.4  1
7 3 1  67.9  1



# MgZrO3
Theoretical powder diffractogram, λ = 1.5418 Å (Cu Kα). Input: a structure optimized by DFT (GGA-PBE).

Cell and atoms:
```
data_MgZrO3
_chemical_formula_sum 'Mg1 Zr1 O3'
_space_group_name_H-M_alt 'P m -3 m'
_space_group_IT_number 221
_space_group_name_Hall '-P 4 2 3'
_cell_length_a 4.133
_cell_length_b 4.133
_cell_length_c 4.133
_cell_angle_alpha 90.00
_cell_angle_beta 90.00
_cell_angle_gamma 90.00
loop_
_atom_site_label
_atom_site_type_symbol
_atom_site_fract_x
_atom_site_fract_y
_atom_site_fract_z
Mg1 Mg 0.000 0.000 0.000
Zr1 Zr 0.500 0.500 0.500
O1 O 0.000 0.500 0.500
```

The 12 most intense peaks (10° ≤ 2θ ≤ 90°), most intense first:
h k l  2θ/deg  I (rel.)
1 1 0  30.6  100
1 0 0  21.5  86
2 0 0  43.8  48
2 1 1  54.4  40
2 1 0  49.3  33
2 2 0  63.7  28
3 2 1  88.5  20
3 1 0  72.3  17
3 0 0  68.0  15
2 2 2  80.5  9
3 2 0  84.5  6
3 1 1  76.4  1



# GdZnPd
Theoretical powder diffractogram, λ = 1.5418 Å (Cu Kα). Input: a structure optimized by DFT (GGA-PBE).

Cell and atoms:
```
data_GdZnPd
_chemical_formula_sum 'Gd3 Zn3 Pd3'
_space_group_name_H-M_alt 'P -6 2 m'
_space_group_IT_number 189
_space_group_name_Hall 'P -6 -2'
_cell_length_a 7.3605
_cell_length_b 7.3605
_cell_length_c 3.9257
_cell_angle_alpha 90.00
_cell_angle_beta 90.00
_cell_angle_gamma 120.00
loop_
_atom_site_label
_atom_site_type_symbol
_atom_site_fract_x
_atom_site_fract_y
_atom_site_fract_z
Gd1 Gd 0.0000 0.4036 0.0000
Zn1 Zn 0.0000 0.7497 0.5000

  • Create a new snapshot with the correct type. When you get to "Virtual Hard Disk", select "Existing". Click on "Add".
  • You'll see everything listed in your VDI directory. Select the one associated with the snapshot you made and finish making this entry. Exit VirtualBox.
  • Now what you want to do is copy the long Machine... line from the new Machines/[Machine]/[Machine].xml file you just created to somewhere else (a text editor perhaps), along with the HardDiskAttachment... one that refers to your relocated snapshot. There are more details about this part at Cloning a complete VM.
  • Overwrite the new machine XML file with the original one associated with your VM, replacing just those two lines with the ones you saved. Basically, you need the new machine UUID and hard disk UUID, everything else should be the same as your original configuration to make sure this machine clones the original as closely as possible.

After going through all that, I had everything: the original VM with all its respective snapshots were still there. I had a copy of the install with SQL Server I could tinker with separately, while continuing my regular work in the original VM. Quite an unexpectedly long diversion, but now that I understand what does and doesn't work here I'll make sure to structure my images and snapshots accordingly.

Since I realize snapshots are a lot less useful than I originally thought because of these limitations, it strikes me I might even switch to using the more portable VMDK image files instead of the native VDI format. Snapshot compatibility was the only reason I didn't do that in the first place (can't use them with VMDK). I think I can do that by creating a new virtual disk in VMDK format, attaching that as the secondary master, using a boot CD image to dd the VDI one to the VMDK one, then detaching those disk images and making a new machine based on the VMDK-formatted one. Easy as can be, right? I got the idea from How To Resize a VirtualBox Virtual Disk. But not right now; I've had enough of a VM disk manipulation workout already today.